To do:
Please set down the lines underneath from the one with "-1.631" to the one with "-0.157 Eh" exactly.

Source:
-- begin --
Record 1
Here is 2 unconnected molecules or ions with the total composition C3H7NO2 in a non-equilibrium geometry from the OMol25 dataset. Energies are from wB97M-V/def2-TZVPD.

XYZ file:
```
13
Properties=species:S:1:pos:R:3
C 3.802 -0.343 -0.108
C -0.809 -0.427 -0.173
C 1.262 1.002 -0.079
N 0.488 -0.264 0.542
O 4.572 0.510 -0.098
O 3.179 -1.323 -0.122
H -1.162 0.534 -0.460
H -0.746 -0.886 -1.145
H -1.511 -1.113 0.235
H 1.228 0.834 -1.165
H 0.734 1.874 0.157
H 0.208 -0.037 1.497
H 1.012 -1.035 0.517
```

Output
DFT total energy: -323.645985 Ha
Relative energy (zero: lowest compared OMol25 entry of this formula, charge and spin): 3.6730 eV
Orbital gap: 7.308 eV
LUMO level: 0.020 Eh

=====

Record 2
Here is 2 unconnected molecules or ions with the total composition C5H9NO2 in a non-equilibrium geometry from the OMol25 dataset. Energies are from wB97M-V/def2-TZVPD.

XYZ file:
```
17
Properties=species:S:1:pos:R:3
O 1.646 1.906 1.514
C 1.183 1.251 0.622
N 1.776 0.268 -0.132
C 1.027 -0.826 -0.550
C 0.474 -1.388 0.743
C -0.816 -1.425 1.067
O -1.832 -0.333 -1.631
C -0.094 1.791 -0.058
H -2.510 -0.358 -2.320
H 0.148 -0.522 -1.226
H 1.734 -1.450 -1.098
H -1.503 -1.398 0.219
H 1.238 -1.616 1.476
H -1.206 -1.621 2.050
H -0.304 2.788 0.301
H -0.028 1.802 -1.140
H -0.933 1.130 0.163
```

Output
DFT total energy: -400.886097 Ha
Relative energy (zero: lowest compared OMol25 entry of this formula, charge and spin): 7.9093 eV
Orbital gap: 4.811 eV
LUMO level: -0.157 Eh

=====

Record 3
Here is 15 unconnected molecules or ions with the total composition C70H185N15O20 in a non-equilibrium geometry from the OMol25 dataset. Energies are from wB97M-V/def2-TZVPD.

XYZ file:
```
290
Properties=species:S:1:pos:R:3
C 18.586 27.187 18.496
O 19.083 28.176 19.412
C 20.175 28.989 18.891
C 20.527 29.972 20.058
N 21.420 30.924 19.523
C 21.902 31.876 20.463
C 22.835 32.854 19.764
O 21.976 33.673 19.044
C 22.367 34.858 18.454
H 19.443 26.578 18.207
H 18.217 27.674 17.594
H 17.799 26.548 18.895
H 19.971 29.558 17.984
H 21.020 28.380 18.569
H 21.013 29.433 20.871
H 19.619 30.466 20.402
H 21.023 31.465 18.769
H 22.422 31.309 21.235
H 21.102 32.314 21.060
H 23.557 32.353 19.119
H 23.464 33.428 20.444
H 22.362 35.611 19.242
H 21.629 35.217 17.736
H 23.332 34.749 17.960
C 26.505 16.194 19.520
O 26.316 17.153 18.468
C 26.479 18.471 18.915
C 26.081 19.506 17.922
N 24.671 19.624 17.876
C 24.093 20.636 16.978
C 22.546 20.599 17.005
O 22.100 19.306 16.614
C 20.724 19.019 16.995
H 27.480 16.219 20.006
H 26.357 15.184 19.138
H 25.702 16.446 20.213
H 27.542 18.530 19.149
H 25.881 18.502 19.826
H 26.518 19.208 16.969
H 26.505 20.432 18.310
H 24.190 18.740 17.792
H 24.418 20.515 15.945
H 24.336 21.627 17.361
H 22.103 21.315 16.313
H 22.136 20.820 17.991
H 20.044 19.800 16.655
H 20.843 19.114 18.075
H 20.276 18.041 16.820
C 10.957 18.680 17.829
O 11.805 19.820 17.998
C 11.813 20.670 16.820
C 12.420 22.028 17.247
N 13.858 22.037 17.130
C 14.383 23.389 17.345
C 14.016 24.468 16.253
O 14.698 25.693 16.603
C 14.330 26.779 15.756
H 11.327 18.008 17.055
H 9.961 19.029 17.557
H 11.035 18.076 18.733
H 10.813 20.869 16.434
H 12.402 20.150 16.065
H 12.063 22.265 18.249
H 12.042 22.775 16.550
H 14.286 21.274 17.634
H 15.464 23.340 17.478
H 13.942 23.766 18.268
H 12.934 24.586 16.314
H 14.152 24.168 15.214
H 14.915 27.660 16.020
H 13.263 26.994 15.809
H 14.588 26.638 14.706
C 13.046 18.011 9.770
O 13.242 18.003 11.111
C 13.394 16.715 11.598
C 13.158 16.761 13.130
N 14.362 17.318 13.767
C 14.099 17.906 15.120
C 15.386 18.635 15.490
O 15.840 19.666 14.601
C 16.958 20.411 15.027
H 13.814 17.442 9.247
H 13.114 19.042 9.423
H 12.062 17.625 9.504
H 14.341 16.277 11.282
H 12.608 16.053 11.236
H 13.172 15.732 13.488
H 12.182 17.120 13.457
H 14.803 18.038 13.213
H 13.760 17.213 15.890
H 13.350 18.681 14.957
H 16.248 17.982 15.628
H 15.148 19.045 16.471
H 17.088 21.240 14.331
H 17.878 19.857 15.208
H 16.763 20.877 15.993
C 27.617 26.228 22.902
O 26.988 25.595 21.836
C 27.314 24.218 21.757
-- stop --

Worked solution:
O -1.832 -0.333 -1.631
C -0.094 1.791 -0.058
H -2.510 -0.358 -2.320
H 0.148 -0.522 -1.226
H 1.734 -1.450 -1.098
H -1.503 -1.398 0.219
H 1.238 -1.616 1.476
H -1.206 -1.621 2.050
H -0.304 2.788 0.301
H -0.028 1.802 -1.140
H -0.933 1.130 0.163
```

Output
DFT total energy: -400.886097 Ha
Relative energy (zero: lowest compared OMol25 entry of this formula, charge and spin): 7.9093 eV
Orbital gap: 4.811 eV
LUMO level: -0.157 Eh